-- Listing --
- - -
Record 1
Diffraction record for KTl. The XRD peak list is computed, not measured: it uses a crystal structure in the Materials Project, relaxed with GGA-PBE and copper Kα.
Peak positions follow from Bragg's law for the DFT cell and can differ from measured ones.

Structure:
```
KTl
1.0
5.418 0.000 0.000
-2.709 4.692 0.000
0.000 0.000 13.334
K Tl
4 4
direct
0.333 0.667 0.094
0.333 0.667 0.406
0.667 0.333 0.594
0.667 0.333 0.906
0.000 0.000 0.250
0.000 0.000 0.750
0.333 0.667 0.750
0.667 0.333 0.250
```

Largest 6 diffraction maxima, low angle first, 2θ = 10–80°:
d_spacing  Position (°2θ)  Rel. int.  index
6.667  13.3  100  0 0 2
4.426  20.1  31  1 0 1
3.227  27.6  49  1 0 3
2.709  33.1  61  1 1 0
2.510  35.8  58  1 1 2
2.102  43.0  30  1 1 4

Record 2
Diffraction record for K3Tm. The XRD peak list is computed, not measured: it uses a crystal structure in the Materials Project, relaxed with GGA-PBE and copper Kα.
Peak positions follow from Bragg's law for the DFT cell and can differ from measured ones.

Structure:
```
K3Tm
1.0
6.074 0.000 0.000
0.000 6.074 0.000
0.000 0.000 6.074
K Tm
3 1
direct
0.000 0.000 0.500
0.000 0.500 0.000
0.500 0.000 0.000
0.500 0.500 0.500
```

Largest 6 diffraction maxima, low angle first, 2θ = 10–80°:
d_spacing  Position (°2θ)  Rel. int.  index
6.074  14.6  48  1 0 0
4.295  20.7  44  1 1 0
3.507  25.4  100  1 1 1
3.037  29.4  51  2 0 0
2.148  42.1  37  2 2 0
1.831  49.8  44  3 1 1

Record 3
Diffraction record for K3Tm. The XRD peak list is computed, not measured: it uses a crystal structure in the Materials Project, relaxed with GGA-PBE and copper Kα.
Peak positions follow from Bragg's law for the DFT cell and can differ from measured ones.

Structure:
```
K3Tm
1.0
8.586 0.000 0.000
-4.293 7.435 0.000
0.000 0.000 7.079
K Tm
6 2
direct
0.172 0.343 0.250
0.172 0.828 0.250
0.343 0.172 0.750
0.657 0.828 0.250
0.828 0.172 0.750
0.828 0.657 0.750
0.333 0.667 0.750
0.667 0.333 0.250
```

Largest 6 diffraction maxima, low angle first, 2θ = 10–80°:
d_spacing  Position (°2θ)  Rel. int.  index
5.127  17.3  50  1 0 1
4.293  20.7  23  1 1 0
3.540  25.2  27  0 0 2
3.291  27.1  100  2 0 1
1.992  45.5  23  2 0 3
1.835  49.7  23  2 2 2

Record 4
Diffraction record for K3Tm. The XRD peak list is computed, not measured: it uses a crystal structure in the Materials Project, relaxed with GGA-PBE and copper Kα.
Peak positions follow from Bragg's law for the DFT cell and can differ from measured ones.

Structure:
```
K3Tm
1.0
9.663 0.000 0.000
0.000 9.663 0.000
0.000 0.000 9.663
K Tm
12 4
direct
0.000 0.000 0.000
0.000 0.500 0.500
0.250 0.250 0.250
0.250 0.250 0.750
0.250 0.750 0.250
0.250 0.750 0.750
0.500 0.000 0.500
0.500 0.500 0.000
0.750 0.250 0.250
0.750 0.250 0.750
0.750 0.750 0.250
0.750 0.750 0.750
0.000 0.000 0.500
0.000 0.500 0.000
0.500 0.000 0.000
0.500 0.500 0.500
```

Largest 6 diffraction maxima, low angle first, 2θ = 10–80°:
d_spacing  Position (°2θ)  Rel. int.  index
5.579  15.9  38  1 1 1
4.832  18.4  21  2 0 0
3.416  26.1  100  2 2 0
2.914  30.7  24  3 1 1
1.973  46.0  40  4 2 2
1.291  73.3  19  6 4 2

Record 5
Diffraction record for KTm. The XRD peak list is computed, not measured: it uses a crystal structure in the Materials Project, relaxed with GGA-PBE and copper Kα.
Peak positions follow from Bragg's law for the DFT cell and can differ from measured ones.

Structure:
```
KTm
1.0
3.597 0.000 0.000
-1.798 3.115 0.000
0.000 0.000 7.165
K Tm
1 1
direct
0.000 0.000 0.000
0.667 0.333 0.500
```

Largest 6 diffraction maxima, low angle first, 2θ = 10–80°:
d_spacing  Position (°2θ)  Rel. int.  index
7.165  12.4  61  0 0 1
3.582  24.9  36  0 0 2
3.115  28.7  39  1 0 0
- - -

-- Work order --
Transcribe every line further up that contains the word "law", please.

-- Done --
Peak positions follow from Bragg's law for the DFT cell and can differ from measured ones.
Peak positions follow from Bragg's law for the DFT cell and can differ from measured ones.
Peak positions follow from Bragg's law for the DFT cell and can differ from measured ones.
Peak positions follow from Bragg's law for the DFT cell and can differ from measured ones.
Peak positions follow from Bragg's law for the DFT cell and can differ from measured ones.